Material
/*
Entry 1:
Entry from OMol25: an isolated ion of composition C19H28NO3 and charge +1 (wB97M-V/def2-TZVPD).

XYZ file:
```
51
Properties=species:S:1:pos:R:3:forces:R:3:lowdin_charge:R:1
O -0.299 2.095 -1.912 0.00 -0.21 -0.22 -0.0547
C -0.694 3.271 -1.243 0.12 0.32 0.17 -0.1820
C 0.070 3.362 0.096 -0.88 0.11 -0.09 -0.0802
N 1.447 2.879 -0.168 0.00 -0.30 -0.41 -0.1100
C 1.978 2.020 0.932 0.31 -0.38 0.49 -0.0962
C 1.076 0.904 1.120 -0.18 -0.53 -0.03 0.0389
C 0.245 0.040 1.164 0.42 0.62 0.20 0.0820
C -0.888 -0.875 1.275 -0.05 -0.35 0.05 -0.4342
O -1.776 -0.246 2.191 -0.11 0.03 0.05 0.0271
C -1.527 -0.984 -0.108 -0.08 0.11 0.01 -0.1554
C -0.740 -0.983 -1.256 -0.06 -0.10 0.01 -0.0760
C -1.324 -1.098 -2.508 0.04 0.00 -0.07 -0.0732
C -2.700 -1.204 -2.627 -0.04 0.01 -0.05 -0.0697
C -3.489 -1.182 -1.490 -0.04 -0.04 -0.03 -0.0560
C -2.907 -1.068 -0.238 0.05 0.01 0.06 -0.0226
C -0.406 -2.234 1.834 -0.02 0.09 -0.12 -0.2328
C -1.535 -3.270 2.008 -0.08 0.05 0.06 -0.1272
C -0.913 -4.634 1.656 0.05 -0.12 0.08 -0.1666
C 0.589 -4.375 1.534 -0.04 0.00 -0.14 -0.1797
C 0.646 -2.953 0.988 0.09 -0.02 0.20 -0.1492
C 2.393 3.945 -0.569 0.80 0.24 -0.43 -0.0860
C 3.417 3.432 -1.583 -0.21 0.22 -0.07 -0.2143
O 4.169 2.399 -0.990 0.11 -0.11 0.14 -0.0537
H -0.837 1.335 -1.643 -0.01 -0.06 -0.01 0.0804
H -0.420 4.100 -1.901 -0.08 -0.02 0.08 0.1278
H -1.770 3.310 -1.068 0.07 0.04 0.04 0.1394
H 0.078 4.376 0.493 0.15 -0.02 0.02 0.1438
H -0.393 2.691 0.824 0.14 0.11 -0.10 0.1307
H 1.291 2.252 -0.993 0.09 0.12 0.34 0.1605
H 2.976 1.680 0.647 -0.16 0.20 0.05 0.1288
H 2.043 2.615 1.848 0.04 0.11 -0.17 0.1541
H -2.263 -0.927 2.667 0.00 -0.07 0.04 0.1000
H 0.335 -0.905 -1.172 0.08 0.00 -0.01 0.1182
H -0.701 -1.108 -3.389 0.06 0.00 -0.10 0.1131
H -3.153 -1.301 -3.601 -0.05 0.00 -0.10 0.1094
H -4.562 -1.258 -1.573 -0.11 0.01 -0.02 0.1112
H -3.537 -1.029 0.638 -0.02 0.01 0.06 0.1189
H 0.035 -2.014 2.814 -0.02 0.04 -0.08 0.1605
H -1.913 -3.269 3.031 -0.07 0.04 -0.01 0.1173
H -2.369 -3.058 1.338 -0.05 0.01 0.07 0.1036
H -1.303 -4.987 0.701 -0.02 -0.04 0.00 0.1133
H -1.137 -5.388 2.408 -0.06 -0.07 -0.05 0.1097
H 1.064 -4.416 2.515 0.06 -0.02 0.04 0.1165
H 1.082 -5.094 0.883 0.08 -0.05 0.04 0.1123
H 1.632 -2.498 1.076 0.04 0.04 -0.08 0.1201
H 0.349 -2.960 -0.062 0.02 -0.01 -0.05 0.1116
H 1.839 4.764 -1.027 -0.05 -0.07 0.07 0.1403
H 2.905 4.311 0.323 -0.15 -0.01 0.00 0.1486
H 4.057 4.273 -1.874 -0.15 -0.03 0.02 0.1360
H 2.896 3.064 -2.480 0.03 0.12 0.07 0.1338
H 4.942 2.200 -1.528 -0.03 -0.01 -0.02 0.1118
```
Forces are in eV/Å.

Calculated values
Net charge: +1
SMILES: OCC[NH+](CC#C[C@@](O)(c1ccccc1)C1CCCC1)CCO
Orbital gap: 9.90 eV
HOMO: -12.034 eV


Entry 2:
Entry from OMol25: a 2-piece molecular cluster, C2H4O4 overall in a non-equilibrium geometry (wB97M-V/def2-TZVPD).

XYZ file:
```
10
Properties=species:S:1:pos:R:3:forces:R:3:lowdin_charge:R:1
O 3.078 0.541 -1.570 1.95 -2.26 0.13 0.0635
C 4.048 -0.197 -1.514 -0.39 2.73 0.25 -0.3596
O 5.196 0.079 -2.203 0.01 -1.61 0.15 0.0417
H 4.309 -0.995 -0.790 -1.14 -0.17 -0.09 0.1347
H 5.774 -0.715 -2.034 -0.43 1.32 -0.44 0.1197
O -5.918 -0.155 0.936 3.64 1.14 1.68 0.0460
C -4.868 0.071 1.550 -2.07 -0.68 -0.94 -0.3542
O -3.881 0.947 1.219 0.00 -0.45 0.49 0.0516
H -4.566 -0.427 2.493 -0.59 -0.26 -0.16 0.1297
H -3.172 0.850 1.913 -0.97 0.26 -1.08 0.1268
```
Forces are in eV/Å.

Calculated values
SMILES: O=CO.O=CO
Orbital gap: 11.30 eV
HOMO: -10.874 eV


Entry 3:
Entry from OMol25: an isolated ion of composition C5H10N5O2 and charge +1 in a non-equilibrium geometry (wB97M-V/def2-TZVPD).

XYZ file:
```
22
Properties=species:S:1:pos:R:3:forces:R:3:lowdin_charge:R:1
C -0.447 1.494 0.961 2.38 3.04 2.19 -0.1682
C -1.137 0.942 -1.194 0.78 -1.30 0.33 -0.2094
C 0.766 -1.243 -0.320 -1.86 0.15 -0.06 -0.1938
C -0.918 0.301 1.485 -1.45 -1.46 -3.37 0.1789
C -1.599 -0.637 0.494 1.29 -1.38 1.56 -0.3523
N -0.447 1.800 -0.285 -1.11 -0.39 -0.99 0.1597
N -0.504 -1.594 0.242 -0.11 0.55 1.38 0.0783
N 1.402 -0.136 0.367 -1.48 -0.58 1.32 0.0880
*/

Brief
The reader should reproduce everything earlier on without additions.

Reply
Entry 1:
Entry from OMol25: an isolated ion of composition C19H28NO3 and charge +1 (wB97M-V/def2-TZVPD).

XYZ file:
```
51
Properties=species:S:1:pos:R:3:forces:R:3:lowdin_charge:R:1
O -0.299 2.095 -1.912 0.00 -0.21 -0.22 -0.0547
C -0.694 3.271 -1.243 0.12 0.32 0.17 -0.1820
C 0.070 3.362 0.096 -0.88 0.11 -0.09 -0.0802
N 1.447 2.879 -0.168 0.00 -0.30 -0.41 -0.1100
C 1.978 2.020 0.932 0.31 -0.38 0.49 -0.0962
C 1.076 0.904 1.120 -0.18 -0.53 -0.03 0.0389
C 0.245 0.040 1.164 0.42 0.62 0.20 0.0820
C -0.888 -0.875 1.275 -0.05 -0.35 0.05 -0.4342
O -1.776 -0.246 2.191 -0.11 0.03 0.05 0.0271
C -1.527 -0.984 -0.108 -0.08 0.11 0.01 -0.1554
C -0.740 -0.983 -1.256 -0.06 -0.10 0.01 -0.0760
C -1.324 -1.098 -2.508 0.04 0.00 -0.07 -0.0732
C -2.700 -1.204 -2.627 -0.04 0.01 -0.05 -0.0697
C -3.489 -1.182 -1.490 -0.04 -0.04 -0.03 -0.0560
C -2.907 -1.068 -0.238 0.05 0.01 0.06 -0.0226
C -0.406 -2.234 1.834 -0.02 0.09 -0.12 -0.2328
C -1.535 -3.270 2.008 -0.08 0.05 0.06 -0.1272
C -0.913 -4.634 1.656 0.05 -0.12 0.08 -0.1666
C 0.589 -4.375 1.534 -0.04 0.00 -0.14 -0.1797
C 0.646 -2.953 0.988 0.09 -0.02 0.20 -0.1492
C 2.393 3.945 -0.569 0.80 0.24 -0.43 -0.0860
C 3.417 3.432 -1.583 -0.21 0.22 -0.07 -0.2143
O 4.169 2.399 -0.990 0.11 -0.11 0.14 -0.0537
H -0.837 1.335 -1.643 -0.01 -0.06 -0.01 0.0804
H -0.420 4.100 -1.901 -0.08 -0.02 0.08 0.1278
H -1.770 3.310 -1.068 0.07 0.04 0.04 0.1394
H 0.078 4.376 0.493 0.15 -0.02 0.02 0.1438
H -0.393 2.691 0.824 0.14 0.11 -0.10 0.1307
H 1.291 2.252 -0.993 0.09 0.12 0.34 0.1605
H 2.976 1.680 0.647 -0.16 0.20 0.05 0.1288
H 2.043 2.615 1.848 0.04 0.11 -0.17 0.1541
H -2.263 -0.927 2.667 0.00 -0.07 0.04 0.1000
H 0.335 -0.905 -1.172 0.08 0.00 -0.01 0.1182
H -0.701 -1.108 -3.389 0.06 0.00 -0.10 0.1131
H -3.153 -1.301 -3.601 -0.05 0.00 -0.10 0.1094
H -4.562 -1.258 -1.573 -0.11 0.01 -0.02 0.1112
H -3.537 -1.029 0.638 -0.02 0.01 0.06 0.1189
H 0.035 -2.014 2.814 -0.02 0.04 -0.08 0.1605
H -1.913 -3.269 3.031 -0.07 0.04 -0.01 0.1173
H -2.369 -3.058 1.338 -0.05 0.01 0.07 0.1036
H -1.303 -4.987 0.701 -0.02 -0.04 0.00 0.1133
H -1.137 -5.388 2.408 -0.06 -0.07 -0.05 0.1097
H 1.064 -4.416 2.515 0.06 -0.02 0.04 0.1165
H 1.082 -5.094 0.883 0.08 -0.05 0.04 0.1123
H 1.632 -2.498 1.076 0.04 0.04 -0.08 0.1201
H 0.349 -2.960 -0.062 0.02 -0.01 -0.05 0.1116
H 1.839 4.764 -1.027 -0.05 -0.07 0.07 0.1403
H 2.905 4.311 0.323 -0.15 -0.01 0.00 0.1486
H 4.057 4.273 -1.874 -0.15 -0.03 0.02 0.1360
H 2.896 3.064 -2.480 0.03 0.12 0.07 0.1338
H 4.942 2.200 -1.528 -0.03 -0.01 -0.02 0.1118
```
Forces are in eV/Å.

Calculated values
Net charge: +1
SMILES: OCC[NH+](CC#C[C@@](O)(c1ccccc1)C1CCCC1)CCO
Orbital gap: 9.90 eV
HOMO: -12.034 eV


Entry 2:
Entry from OMol25: a 2-piece molecular cluster, C2H4O4 overall in a non-equilibrium geometry (wB97M-V/def2-TZVPD).

XYZ file:
```
10
Properties=species:S:1:pos:R:3:forces:R:3:lowdin_charge:R:1
O 3.078 0.541 -1.570 1.95 -2.26 0.13 0.0635
C 4.048 -0.197 -1.514 -0.39 2.73 0.25 -0.3596
O 5.196 0.079 -2.203 0.01 -1.61 0.15 0.0417
H 4.309 -0.995 -0.790 -1.14 -0.17 -0.09 0.1347
H 5.774 -0.715 -2.034 -0.43 1.32 -0.44 0.1197
O -5.918 -0.155 0.936 3.64 1.14 1.68 0.0460
C -4.868 0.071 1.550 -2.07 -0.68 -0.94 -0.3542
O -3.881 0.947 1.219 0.00 -0.45 0.49 0.0516
H -4.566 -0.427 2.493 -0.59 -0.26 -0.16 0.1297
H -3.172 0.850 1.913 -0.97 0.26 -1.08 0.1268
```
Forces are in eV/Å.

Calculated values
SMILES: O=CO.O=CO
Orbital gap: 11.30 eV
HOMO: -10.874 eV


Entry 3:
Entry from OMol25: an isolated ion of composition C5H10N5O2 and charge +1 in a non-equilibrium geometry (wB97M-V/def2-TZVPD).

XYZ file:
```
22
Properties=species:S:1:pos:R:3:forces:R:3:lowdin_charge:R:1
C -0.447 1.494 0.961 2.38 3.04 2.19 -0.1682
C -1.137 0.942 -1.194 0.78 -1.30 0.33 -0.2094
C 0.766 -1.243 -0.320 -1.86 0.15 -0.06 -0.1938
C -0.918 0.301 1.485 -1.45 -1.46 -3.37 0.1789
C -1.599 -0.637 0.494 1.29 -1.38 1.56 -0.3523
N -0.447 1.800 -0.285 -1.11 -0.39 -0.99 0.1597
N -0.504 -1.594 0.242 -0.11 0.55 1.38 0.0783
N 1.402 -0.136 0.367 -1.48 -0.58 1.32 0.0880